RewardPool RapeDay: A Realistic Plan To Manage RewardPool Rape (English & Español)

in #steemit6 years ago (edited)


Just like in the movie The Purge, I think we need to compartmentalize the rape of the reward pool to a day of the week, say Friday, so as to make it less conspicuous.

It can become a cathartic, periodical bonding experience for the whole community, a sort of carnival where everyone lets their darkest rewardpool rape fantasies emerge.

On RewardPool RapeDay, everything would be allowed:

Wanna post a period and self vote it to $550???? No problem

Wanna vote the shitposts of the 10 illiterate fucks you brought to the platform (so its not so evident that you are selfvoting) to $120 each? No problem

Wanna plagiarize? No problem

Phishing campaign? Go ahead

Wanna put a BitConnect Ad at the top of trending? Pfffff, no biggie

Wanna use Minnowbooster to put 3 stupid lines to $55?? Excellent.

During that day of the week anything would be allowed and cleaning services wont be available. (Did you want to leave the cleaners out of the party?)


This way we can all have fun raping the shit out of the reward pool together in one big weekly party, in an organized, civilized manner, and maintain some resemblance of order during the rest of the week.



-- Next to the page, the page also holds calculated crystals --
........
## Na14Mg5Ti3Si6S6O48 (PBE)

Data for crystalline Na14Mg5Ti3Si6S6O48 at its relaxed geometry.

Summary:
M_tot = 0.00 μB per atom
Crystal system = triclinic
Energy of formation = -2.60 eV per atom

Cell: 18.0968 9.0221 22.1554 Å, 90.16 89.89 120.13°
Closest atoms and distances in Å follow each position.
Atoms (fractional coordinates):
Na 0.1927 0.3583 0.2471  5 O 2.38-2.66
Na 0.6871 0.3536 0.2460  5 O 2.43-2.64
Na 0.9970 0.6409 0.2538  3 O 2.34-2.53
Na 0.4953 0.6336 0.2445  5 O 2.39-2.62
Na 0.3171 0.6325 0.7492  4 O 2.30-2.56
Na 0.8163 0.6279 0.7394  5 O 2.31-2.58
Na 0.1891 0.0253 0.7469  5 O 2.39-2.67
Na 0.6914 0.0263 0.7469  3 O 2.35-2.46
Na 0.1522 0.3236 0.5786  5 O 2.45-2.60
Na 0.6646 0.3447 0.5781  5 O 2.42-2.67
Na 0.0120 0.7006 0.5809  6 O 2.46-2.70
Na 0.5204 0.7042 0.5828  3 O 2.25-2.51
Na 0.3244 0.9707 0.5900  6 O 2.45-2.68
Na 0.8231 0.9565 0.5891  4 O 2.36-2.61
Na 0.1558 0.9789 0.0788  6 O 2.46-2.75
Na 0.6487 0.9662 0.0753  5 O 2.43-2.59
Na 0.8225 0.6782 0.0883  3 O 2.36-2.58
Na 0.0194 0.3345 0.0813  4 O 2.28-2.56
Na 0.5218 0.3471 0.0871  4 O 2.39-2.50
Na 0.4911 0.6763 0.9214  3 O 2.34-2.51
Na 0.9910 0.6780 0.9169  5 O 2.38-2.64
Na 0.8470 0.0333 0.9086  5 O 2.36-2.62
Na 0.1639 0.2851 0.9089  5 O 2.38-2.52
Na 0.6642 0.2802 0.9166  6 O 2.40-2.60
Na 0.4922 0.3072 0.4177  3 O 2.34-2.60
Na 0.9885 0.3011 0.4204  5 O 2.35-2.59
Na 0.1650 0.0502 0.4165  6 O 2.41-2.58
Na 0.6665 0.0511 0.4157  6 O 2.42-2.58
Na 0.3496 0.6606 0.4080  5 O 2.36-2.58
Na 0.8482 0.6574 0.4180  5 O 2.35-2.60
Na 0.0044 0.9989 0.5013  6 O 2.50-2.73
Na 0.5126 0.0160 0.4979  3 O 2.35-2.55
Na 0.0075 0.0053 0.9970  5 O 2.37-2.64
Na 0.5006 0.9976 0.0001  6 O 2.46-2.65
Na 0.3331 0.3072 0.8295  2 O 2.28-2.51
Na 0.8289 0.3141 0.8266  3 O 2.30-2.42
Na 0.3258 0.3285 0.3260  4 O 2.37-2.56
Na 0.8217 0.3240 0.3285  3 O 2.38-2.47
Na 0.1838 0.6782 0.1638  4 O 2.43-2.64
Na 0.6642 0.6663 0.1621  6 O 2.44-2.67
Na 0.1619 0.6664 0.6659  6 O 2.45-2.67
Na 0.6718 0.6689 0.6621  5 O 2.37-2.63
Mg 0.0048 0.0037 0.3489  4 O 1.93-2.12
Mg 0.5056 0.0055 0.3470  4 O 1.92-2.07
Mg 0.0057 0.0091 0.8473  4 O 1.93-2.11
Mg 0.5029 0.0097 0.8516  3 O 1.91-2.07
Mg 0.3275 0.3145 0.6866  4 O 1.95-2.11
Mg 0.8251 0.3216 0.6836  5 O 1.97-2.17
Mg 0.3300 0.3396 0.1850  5 O 1.97-2.15
Mg 0.8239 0.3290 0.1858  4 O 1.94-2.12
Mg 0.8193 0.3103 0.9825  3 O 1.94-2.09
Mg 0.3213 0.3278 0.4823  3 O 1.95-2.08
Mg 0.8204 0.3413 0.4869  3 O 1.96-2.09
Mg 0.1719 0.6702 0.0162  5 O 1.96-2.14
Mg 0.6589 0.6618 0.0190  4 O 1.94-2.05
Mg 0.1639 0.6654 0.5165  4 O 1.94-2.10
Mg 0.6706 0.6650 0.5195  5 O 1.95-2.16
Ti 0.9997 0.0071 0.6496  4 O 1.89-1.99
Ti 0.5076 0.0237 0.6544  3 O 1.77-1.92
Ti 0.0065 0.9935 0.1539  2 O 1.79-1.86
Ti 0.5035 0.9723 0.1477  4 O 1.83-1.97
Ti 0.3239 0.3236 0.9867  4 O 1.83-1.98
Ti 0.1790 0.6730 0.3099  4 O 1.82-2.03
Ti 0.6774 0.6690 0.3082  4 O 1.84-2.06
Ti 0.1753 0.6861 0.8093  3 O 1.84-1.92
Ti 0.6737 0.6828 0.8092  3 O 1.83-1.92
Si 0.1528 0.9984 0.2549  4 O 1.59-1.76
Si 0.6502 0.9958 0.2537  4 O 1.60-1.72
........

Similarmente a la pelicula The Purge, pienso que necesitamos compartimentalizar la violacion de la picina de recompensas en un dia de la semana, digamos Viernes, para que sea menos conspicua.

Puede convertirse en una experiencia catartica periodica y vinculante para la comunidad entera, una especie de carnaval donde todos dejan sus fantasias de violacion de la picina de recompensas emerger.

En el dia de violacion de la picina de recompensas todo seria permitido:

Queres postear un punto y votarlo a $550??? Ningun problema.

Queres votar los posts de mierda de los 10 analfabetos que trajiste a la plataforma (para que no sea tan evidente que te estas votando a vos mismo) a $120?? Todo bien.

Queres plagiar?? No hay problema.

Campaña de phishing? Adelante

Queres poner una promocion de BitConnect en el numero 1 de Trending??
Pffff, no pasa nada.

Queres usar MinnowBooster para ponerle $55 a tres lineas estupidas? Excelente.

Durante ese dia de la semana todo seria permitido y los servicios de limpieza no estaran disponibles (O querias dejar a los cleaners afuera de la fiesta?)


De esta forma nos podemos divertir todos juntos violando la picina de recompensas en una gran fiesta semanal, de una manera organizada y civilizada, manteniendo algo parecido a un orden durante el resto de la semana.




Only a quarter? Here have another $1.75

Maybe Tuesday is a better day, have my 22 cents...

you got a freakin quarter just for an "lol"

Bravo, bravo

It would be great, but if I did a week yes and another no; that is, a Friday if and the one that follows does not.

This post has received a 100% upvote just for.... why the fuck not. Merry Christmas @walden - cheers!!

So you want to pack all 7-day activities of the week all into one day...

sure... why not... the daily chore of spamming shitposts and circlejerking our whalbuddies while paying for votes has been getting too much for the farmers anyways... I'd hate to see all the bots need a therapist to cope with burnout syndrome or something...

... sounds like a splendid idea!

Didn't we already have that and it was for about half a year? 2016

yes man i upvoted your post and @walden post so that we can bring humor to the idea of flagging the trending page

But reemmber no one cares what was on trending in a year from now

Reddit users don't care whats on the last years trending page

we must get TALENt from Youtube and instagram and reddit to start posting on steem


Your one character comment meets the spirit of the celebration that RewardPool RapeDay embodies, have my 22 cents...



Write up the proposal, let's bring it to the witnesses!! I'm sure the community will agree and adhere to this one day a week rule lol!

For now it's any day with a Y in it. Haejin has been advised he could do less posts, but he just posts them again if they get flagged. He didn't get it. I know there are others being more sneaky. I just can't bring myself to do these things

There is a new battle plan being discussed by the whales to address that. Gist is the strikes will be more surgical in nature vs spread over all his active posts but there will be a compromise we are hoping would appeal to him.

We have a draft ready to fire once plan is approved from @flagawhale. I went all out on this one. Gifs, new ranks and new strategy.

By the way @steevc, thanks for having integrity brother. I know I have the technical skills to "rape" the reward pool but some things are more valuable than profit to me. People are one of them.

Good to hear it. I've always said that steemit is the wild west and we need vigilantes to police it


One day instead of seven?
Nope never gonna fly.